Retype the notes below from the line with "1.0" to the end with every line break kept.
┌──
Diffraction record for SrGa2Te4. The PXRD pattern is calculated, not measured: it uses the PBE geometry in the Materials Project and CuKα.
Kinematic intensities with the Lorentz-polarization factor, no thermal factor.

Cell and atoms:
```
SrGa2Te4
1.0
3.403 -5.918 0.000
3.403 5.918 0.000
0.000 0.000 11.908
Sr Ga Te
2 4 8
direct
0.000 0.000 0.250
0.000 0.000 0.750
0.258 0.739 0.000
0.261 0.742 0.500
0.739 0.258 0.500
0.742 0.261 0.000
0.000 0.500 0.174
0.000 0.500 0.826
0.156 0.310 0.500
0.310 0.156 0.000
0.500 0.000 0.326
0.500 0.000 0.674
0.690 0.844 0.000
0.844 0.690 0.500
```

Main lines, in order of rising 2θ (2θ from 10° to 80°):
5.936 Å, 2θ 14.9, I = 36
3.293 Å, 2θ 27.1, I = 83
3.281 Å, 2θ 27.2, I = 83
2.977 Å, 2θ 30.0, I = 20
2.959 Å, 2θ 30.2, I = 21
└──
1.0
3.403 -5.918 0.000
3.403 5.918 0.000
0.000 0.000 11.908
Sr Ga Te
2 4 8
direct
0.000 0.000 0.250
0.000 0.000 0.750
0.258 0.739 0.000
0.261 0.742 0.500
0.739 0.258 0.500
0.742 0.261 0.000
0.000 0.500 0.174
0.000 0.500 0.826
0.156 0.310 0.500
0.310 0.156 0.000
0.500 0.000 0.326
0.500 0.000 0.674
0.690 0.844 0.000
0.844 0.690 0.500
```

Main lines, in order of rising 2θ (2θ from 10° to 80°):
5.936 Å, 2θ 14.9, I = 36
3.293 Å, 2θ 27.1, I = 83
3.281 Å, 2θ 27.2, I = 83
2.977 Å, 2θ 30.0, I = 20
2.959 Å, 2θ 30.2, I = 21